=====
Diffraction record for CaH12I2O12. The powder diffraction line list is theoretical, not measured: it uses a cell relaxed with GGA-PBE and CuKα.
Neutral-atom scattering factors, no anomalous dispersion.

Structural model:
```
54
Lattice="0.0000 11.5724 3.1879 7.5211 0.0000 3.1879 7.5211 11.5724 0.0000" Properties=species:S:1:pos:R:3 pbc="T T T"
Ca 0.0000 0.0000 0.0000
Ca 3.7606 5.7862 1.5940
H 7.8862 8.8253 1.3276
H 6.7460 6.4141 1.6768
H 8.6685 5.1971 3.3331
H 12.0568 12.2003 3.2708
H 9.3836 11.3195 2.4008
H 13.2853 13.8643 3.9299
H 5.5175 8.0781 2.3359
H 7.1560 14.3195 1.3276
H 10.9166 14.6115 2.9216
H 9.5247 15.0667 2.3359
H 8.5116 12.5439 2.7483
H 0.7751 5.1583 1.6768
H 6.5306 10.6009 2.7483
H 5.6586 11.8253 2.4008
H 5.6231 6.0391 3.9948
H 4.1256 8.5333 2.9216
H 12.2722 16.3871 4.3423
H 10.1343 10.9833 4.9270
H 9.4192 17.1057 3.9948
H 2.9855 10.9445 3.2708
H 10.2912 18.3301 4.3423
H 6.3737 17.9477 3.3331
H 9.2780 20.8529 3.9299
H 4.9079 12.1615 4.9270
I 11.5295 8.9986 2.7708
I 7.7689 8.3600 4.3647
I 3.5127 14.1462 2.7708
I 7.2733 14.7848 4.3647
O 10.9132 7.3410 2.8267
O 12.5643 11.6771 2.6057
O 14.2637 13.8149 3.7506
O 8.9682 12.1127 1.9850
O 7.2854 7.9255 2.6199
O 2.9820 3.5437 2.1566
O 10.0724 9.9206 3.5398
O 8.8037 5.6815 4.1996
O 4.5391 8.0287 2.1566
O 6.0741 11.0321 1.9850
O 5.2076 5.2459 3.5789
O 11.5173 13.7117 4.2139
O 7.7568 15.2193 2.6199
O 7.1527 10.0176 4.4207
O 9.8346 17.8989 3.5789
O 13.8330 19.0104 5.1338
O 7.8896 13.1272 4.4207
O 2.4779 11.4677 2.6057
O 4.9698 13.2242 3.5398
O 11.0460 21.0055 4.2139
O 4.1290 15.8038 2.8267
O 8.7304 15.7068 5.1338
O 8.2996 20.9023 3.7506
O 6.2385 17.4633 4.1996
```

Main lines, low angle first (10° ≤ 2θ ≤ 90°):
d [Å], 2θ/deg, I/Imax
5.786, 15.31, 54
5.690, 15.57, 62
4.672, 19.00, 100
3.885, 22.89, 28
3.761, 23.66, 44
3.510, 25.38, 58
3.153, 28.30, 44
2.935, 30.45, 36
2.618, 34.26, 50
1.867, 48.78, 28
=====
Next, duplicate only the last part of the notes earlier on, starting with the line that has "8.9682 12.1127".
O 8.9682 12.1127 1.9850
O 7.2854 7.9255 2.6199
O 2.9820 3.5437 2.1566
O 10.0724 9.9206 3.5398
O 8.8037 5.6815 4.1996
O 4.5391 8.0287 2.1566
O 6.0741 11.0321 1.9850
O 5.2076 5.2459 3.5789
O 11.5173 13.7117 4.2139
O 7.7568 15.2193 2.6199
O 7.1527 10.0176 4.4207
O 9.8346 17.8989 3.5789
O 13.8330 19.0104 5.1338
O 7.8896 13.1272 4.4207
O 2.4779 11.4677 2.6057
O 4.9698 13.2242 3.5398
O 11.0460 21.0055 4.2139
O 4.1290 15.8038 2.8267
O 8.7304 15.7068 5.1338
O 8.2996 20.9023 3.7506
O 6.2385 17.4633 4.1996
```

Main lines, low angle first (10° ≤ 2θ ≤ 90°):
d [Å], 2θ/deg, I/Imax
5.786, 15.31, 54
5.690, 15.57, 62
4.672, 19.00, 100
3.885, 22.89, 28
3.761, 23.66, 44
3.510, 25.38, 58
3.153, 28.30, 44
2.935, 30.45, 36
2.618, 34.26, 50
1.867, 48.78, 28